Blockchain Integration

How Paradise Tycoon Utilizes Blockchain

Digital Ownership: Blockchain technology enables digital ownership of items, lands, NFT crew members, and other in-game assets in Paradise Tycoon.

-- begin --
Below is a structure of composition C2H8N2O, with properties calculated with ωB97M-V/def2-TZVPD.

Calculated values
**ΔE to the lowest compared entry with this formula, charge and spin**: 353.3 kJ/mol
**Maximum force**: 5.71 eV/Å
**LUMO energy**: 1.07 eV

```
13
Properties=species:S:1:pos:R:3:forces:R:3:nbo_charge:R:1
C 0.3587 -0.3553 -1.5715 0.687 0.531 5.645 0.06
N 1.7242 -0.3069 -1.7148 0.313 0.320 -1.397 -0.83
H 0.0208 -1.2977 -1.1643 -0.883 -0.384 -1.699 0.22
H -0.1844 0.5832 -1.5114 -0.667 -0.363 -2.040 0.24
H 2.0363 0.5529 -2.1398 0.141 0.099 0.220 0.37
H 2.1620 -0.4440 -0.8116 0.177 -0.312 -0.115 0.41
N -1.0572 0.4655 2.0959 -0.091 0.021 0.207 -0.84
C -1.0070 -0.0097 0.7354 -0.089 -0.093 0.519 0.08
O 0.2894 -0.0058 0.2131 0.263 0.265 -0.668 -0.69
H -0.6223 1.3734 2.1897 0.040 0.031 -0.089 0.36
H -0.6052 -0.1642 2.7455 0.098 -0.046 -0.133 0.36
H -1.4188 -1.0288 0.7604 -0.112 0.033 -0.188 0.14
H -1.6965 0.6375 0.1733 0.125 -0.100 -0.259 0.14
```
Forces are in eV/Å.

Below is a cluster of 2 separate species, C3HFO3 in total, with properties calculated with ωB97M-V/def2-TZVPD.

Calculated values
**ΔE to the lowest compared entry with this formula, charge and spin**: 56.5 kJ/mol
**Maximum force**: 3.38 eV/Å
**LUMO energy**: -0.11 eV

```
8
Properties=species:S:1:pos:R:3:forces:R:3:nbo_charge:R:1
O 0.5769 1.4351 0.6916 1.380 0.197 0.381 -0.41
C -0.1315 1.2508 -0.1972 -1.363 0.305 1.044 0.61
C -1.1421 1.0637 -0.9987 1.276 -1.732 -2.609 -0.10
F -2.3920 1.3316 -0.6470 -0.814 0.372 0.341 -0.30
H -0.9523 0.4744 -1.9293 -0.494 0.859 0.836 0.20
O 2.3288 -1.2774 0.9937 1.937 1.408 -0.316 -0.51
C 1.3328 -1.8293 1.0061 0.272 -0.391 0.440 1.02
O 0.3795 -2.4488 1.0809 -2.194 -1.018 -0.117 -0.51
```
Forces are in eV/Å.

Below is the ion NO4PS with charge -2, with properties calculated with ωB97M-V/def2-TZVPD.

Calculated values
**ΔE to the lowest compared entry with this formula, charge and spin**: 133.2 kJ/mol
**Total charge**: -2
**Maximum force**: 3.37 eV/Å
**LUMO energy**: 6.42 eV

```
7
Properties=species:S:1:pos:R:3:forces:R:3:nbo_charge:R:1
O -2.6530 0.3538 -0.1989 0.436 0.046 0.108 -1.04
S -1.4246 -0.3794 0.2117 1.403 1.678 1.004 1.47
N -0.0186 0.9129 1.0354 -2.158 -2.048 -1.576 -1.33
P 1.0509 0.0957 0.1258 0.570 -0.297 0.046 2.33
O 1.5629 -1.2411 0.6062 -0.091 0.250 -0.025 -1.21
O 1.9785 0.8714 -0.7634 -0.263 0.042 -0.005 -1.19
O -0.4960 -0.6132 -1.0168 0.103 0.328 0.448 -1.03
```
Forces are in eV/Å.

Below is a cluster of 2 separate species, C3H10NO in total, with properties calculated with ωB97M-V/def2-TZVPD.

Calculated values
**ΔE to the lowest compared entry with this formula, charge and spin**: 277.7 kJ/mol
**Total charge**: +1
**Maximum force**: 3.97 eV/Å
**LUMO energy**: -4.02 eV

```
15
Properties=species:S:1:pos:R:3:forces:R:3:nbo_charge:R:1
C 2.0421 -0.8308 -0.0966 -0.744 0.103 -3.894 -0.64
C 0.9450 0.0532 -0.7884 2.447 0.306 -0.276 -0.13
C -0.2639 -0.1080 -1.3005 -1.221 -0.696 0.692 -0.08
-- stop --

Interoperability: Achievements in Paradise Tycoon can be shared and exchanged between our games or even games developed by others, creating a comprehensive gaming ecosystem.

Moani as In-Game Currency: Using Moani, a crypto token, as the in-game currency offers benefits such as seamless player-to-player trading and a free economy.

Benefits of Blockchain

1. Revolutionizing Monetization

Embracing blockchain technology enables the introduction of "nano purchases", allowing players to engage in payments as small as a few cents, making gaming more inclusive and accessible for players from all economic backgrounds. By allowing the resale or trade of digital assets, players can recoup some of their investments, making gaming more financially viable, especially for users in Tier 3 countries. This approach creates a more balanced gaming experience tailored to a broader range of spending capacities and ensures that entertainment becomes truly accessible globally.

2. Enabling a Player-Driven Economy & Digital Ownership

Blockchain technology allows us to create an economy with player-to-player trading, transforming in-game assets into real currency and back, a feat not possible for an indie studio without blockchain.

3. Expanding Interoperability

Players can transfer assets and achievements between games, enhancing the gaming experience without overlapping content. In the future, expect to be able to use Paradise Tycoon NFTs in future Empires Not Vampires games, but also in other partnering titles coming up soon!

4. New ways to build IP with NFTs

In most web3 games NFTs only serve as an ID linking to an asset on a game server maintained by the developer. This means that in the event the server is shut down, the NFT loses its value as a game asset.

Paradise Tycoon is taking a different approach, allowing for a higher level of true digital ownership that is beyond the control of the game developers. In Paradise Tycoon, NFT game assets, including attributes and visual elements, are stored on the blockchain (or IPFS) with a license that allows other developers to create utility and interoperability for the NFTs. This model will eventually help us grow our IP across the gaming ecosystem and supports our goal of mass adoption by web2 gamers. There are plenty of developers that today, utilizing web3 technology would love to tap into interoperable IPs but are unable to do so due to old traditional licensing models.

As CoFounder Timo Juuti explains, “Blockchain technology offers immense freedom in game design. We are putting in-game assets into the blockchain as NFTs, with a Creative Commons license for developers to use in their games. It makes them available for anyone and not controlled by us; this is real digital ownership. This creates some exciting future scenarios and new ways to build IPs.“

Wallet Integration

We believe that blockchain's potential should be accessible to all, and it's integral to our approach in Paradise Tycoon. We strive to ensure that integrating the wallet into the gameplay is as seamless as possible, with the intention of not breaking the immersive gaming experience.

  1. Create an account using Social Logins: Shortly after beginning your journey you will be prompted to create an account using any popular social logins to save your game progress and to access features such as crossplatform access.

  2. Player gets a Wallet for Moani & NFTs: Upon account creation, a wallet will be set up automatically. This wallet is where your Moani tokens and NFTs, such as Land and Crew Members, will be stored.

  3. Earn Moani through Tutorial Quests: As you progress through the tutorial quests, you will earn Moani tokens. By the end of these quests, you'll have enough Moani equivalent to the gas fee of a single transaction.

  4. Mint Your NFT Land with Gas Fee: Now it's time to step into the World of Paradise Tycoon! Use the Moani you've earned from the tutorial quests to pay for the gas fee required to mint your NFT Land. This grants you access to the full gameplay features.

  5. Experience Crypto Currency and NFTs: Congratulations! You've now potentially used cryptocurrency for the first time and possess your first NFT in your newly created wallet. Welcome to the World of Paradise Tycoon!

Last updated